永续耕种设计原理| 每个元素发挥多种作用

Each Element Performs Many Functions

The second Permaculture Design principle is 'Each Element Performs Many Functions’.
To maximise the efficiency of a design, every element (component) is selected and located with the intention that it serves as many functions as possible.
We can only do this when we fully recognise all the properties of an element, and when this element is a plant or animal, we must have a thorough knowledge of this organism. This includes it needs, outputs. attributes, the optimum conditions and the range which it can tolerate, and so forth.
One way to do this is to perform a 'functional analysis’ to identify an element’s needs, products, behaviours and intrinsic characteristics.
When looking at plants, we need to identify aspects such as:
  1. Form – lifestyle (is the plant annual or perennial, is the tree deciduous or evergreen) and shape (is it a ground cover, shrub, tree or vine, and how tall does it grow)
  2. Tolerances – light requirements (shade, partial shade or full sun), habitat (dry, moist or wet, low or high elevation), climate (arid, temperate, subtropical or tropical), soil type tolerance (sandy, silty, clay, loamy, peaty, or chalky soil types), and soil pH (acid, neutral or alkaline soil)
  3. Uses – edible, medicinal, animal forage, soil improvement (nitrogen fixing, cover crop, green manure), site protection (erosion control, living fence, windbreak)
If we look at a Willow tree for example, the functional analysis would be as follows:
  1. Form – deciduous tree, weeping habit, up to 30m high, fast growing and short lived, propagates easily from cuttings.
  2. Tolerances – Requires full sun, grows best in moist soil that is well-draining, often found beside streams and in damp areas. It is salt tolerant, and tolerant of a wide variety of soils and pH.
  3. Uses:

    Source of Medicine – The bark of white willow contains salicin, which is a chemical similar to aspirin, used for the treatment of pain, headache, and inflammatory conditions.

    Source of Material for Construction and Manufacturing – the wood is used to make furniture, cricket bats, tool handles, wood veneers, and toys. It is used in wood turning. Willows provide wicker for weaving of wicker baskets and for making fish traps. The wood can also be used as a source of fibre for making rope, string and paper. Charcoal used by artists is exclusively made from willow.

    Source of Energy – Willow is grown for biomass, a renewable energy source which reduces the need for fossil fuels and petroleum products.

Ecological/Environmental Uses – Willows have many beneficial environmental uses. They can be used in the following areas:
> Riparian buffers – Natural barriers that prevent chemicals from entering streams, ponds, and lakes.
> Phytoremediation – Willows clean up toxins from contaminated sites.
> Wastewater management (biofiltration) – Willows filter contaminants from wastewater, and can be used in ecological wastewater treatment systems.
> Environmental protection and preservation – Willows are often used for land reclamation, streambank stabilisation (bioengineering), slope stabilisation, soil erosion control, shelterbelt and windbreak construction, soil building, and soil reclamation.
> Environmental reconstruction – Willows are used for constructing wetlands and wildlife habitat.
> Gardening – Willows are used for in the construction of hedges, “living fences” and other living garden structures and general landscaping
> Living snowfences – Strategically planted willows trap drifting snow.
> Farming – Willows can used by farmers as an animal forage to feed their stock.
Horticultural Uses – Willow bark contains natural plant growth hormones which can be used for rooting new cuttings.
Now, if we take the above functional analysis, we can design a practical application of the 'Each Element Performs Many Functions’ principle .
Here we have a steep slope on a creek bank adjoining a farm, with run-off and possible contaminants coning in off the farm. The steep banks are vulnerable to erosion from the fast flowing run-off of rainwater uphill.
Placing a willows allows us to stabilise the banks with the tree’s intricate root net and prevent soil erosion. The roots enter into the water where they create a home and shelter for fish, increasing the fish population. Any contaminants or nutrient run-off from the farm are captured by the willow, preventing them from entering and polluting the waterway. The roots also filter the water in the waterway, clearing and cleaning it. The dense canopy provides a natural evaporative cooling which creates a protective microclimate. It also creates an effective windbreak. This creates a buffer from the harsh elements which supports the creation of a local wildlife habitat which can support a greater amount of flora and fauna than a bare bank. The sheep on the farm are provided with a nice shady sheltered spot, and they also have a source of forage in the overhanging willow branches. As we can see, the willow provides many functions, so one element performs many functions.
A more urban example might also be appropriate here, something you’re more likely to see in a regular suburban back yard.
This is what it looks like in real life, when first built:
Here’s the same system, fully grown:
Once again, all of the elements serve multiple purposes.
The grapevine:
  1. Shields the two 8′x4′ vegetable beds behind it from the harsh west evening sun and strong winds.
  2. Provides a microclimate for the strawberry bed underneath,
  3. The autumn leaves that fall from the grapevine will provide mulch for the strawberries.
  4. Produces grapes and vine leaves which are both edible!
The strawberries:
  1. Create a living mulch ground cover which conserves moisture for the grapevine, limiting water loss by evaporation from the soil in summer.
  2. Produce strawberries, which are edible
It actually gets much complicated than that in my design. When we introduce a herbaceous layer, (we end up with three layers vertically, this is another Permaculture principle, that of Stacking) we add more element with multiple uses and they all act together in synergy.
To one side of the grape vine trellis, I have planted Citronella Geranium, and to the other side, Hyssop. Both these plants are good companion plants to grapevines, and this particular geranium is insect repellent and works a treat if you rub it all over exposed skin to prevent mosquito bites. Just the thing for late evening simmer gardening! The hyssop is also a medicinal herb for lung aliments, used since early European herbalism.
Furthermore, the trellis itself is an element, which serves multiple uses. When the grapevine is dormant and has lost all it’s leaves, the bare trellis can be used to support climbing peas, which therefore creates a system of succession planting also (which, incidentally, is another Permaculture design principle)!
So, in essence, in order to produce functional and effective designs, you must thoroughly understand:
  1. The nature of the elements you are designing with, and
  2. The range of elements you can possibly use in a design situation,
  3. The reason and justification for using the elements you have from the range of choices available.
Designing Permaculture food production systems is all about designing with plants first and foremost, so if you don’t know your plants intimately, then I recommend you do so as soon as possible. Permaculture garden design presupposes a high level of competency in horticultural skills, and the only way you’ll gain these is by working with plants over a period of time till you really understand plants. To be frank, your designs will only be ever as good as your understanding of the plants you use and the range of plants know about. Plants are living entities, not 'design features’ like the landscaper’s pergolas, water features and paved paths.
Remember, you are designing with Life itself, and how can you even begin to design living ecosystems with Life itself if you don’t understand the nature of that Life.
With an understanding, or even better, a real connection to Nature, the natural harmony and efficiency of Nature will be ultimately reflected in your designs!

┌──
P.
# C2HClN2S

The molecule C2HClN2S (ωB97M-V/def2-TZVPD, OMol25).

Summary:
* molar mass: 120.56 g mol⁻¹
* HOMO (spin up / spin down): -8.8 / -8.8 eV
* LUMO level (spin up / spin down): -1.38 / -1.38 eV
* orbital gap (spin up / spin down): 7.413 / 7.408 eV

```
! RIJCOSX wB97M-V def2-TZVPD def2/J DEFGRID3
* xyz 0 1
S -1.2422 -3.0530 1.5589
C -0.9700 -1.8387 0.6427
C -0.8256 -0.9383 -0.4489
N -1.3443 -0.7604 -1.6492
N -2.5272 -1.2589 -2.0522
Cl -2.5675 -0.7267 -3.7477
H -0.0528 -0.3436 -0.1378
*
```

---

Q.
# C2HClN2S

A structure of composition C2HClN2S (ωB97M-V/def2-TZVPD, OMol25).

Summary:
* molar mass: 120.56 g mol⁻¹
* HOMO: -9.3 eV
* LUMO level: -0.49 eV
* orbital gap: 8.849 eV

```
! RIJCOSX wB97M-V def2-TZVPD def2/J DEFGRID3
* xyz 0 1
C 0.3003 0.2899 0.1236
C 2.1466 -0.3446 0.5195
N 0.4515 1.4268 -0.3744
N 1.4852 2.1616 -0.5272
S 3.0310 0.9184 0.2647
Cl 1.4310 3.8541 -0.2248
H -0.3231 -0.4973 -0.0051
*
```

---

Most stable pick: P. Distance to second place: 1.416 eV.

---

P.
# H24NeO12

A structure of composition H24NeO12 (ωB97M-V/def2-TZVPD, OMol25).

Summary:
* molar mass: 236.36 g mol⁻¹
* HOMO: -10.2 eV
* LUMO level: -0.27 eV
* orbital gap: 9.937 eV

```
! RIJCOSX wB97M-V def2-TZVPD def2/J DEFGRID3
* xyz 0 1
Ne -0.3867 -0.1885 -0.1978
O 1.5626 0.2169 -2.4695
H 2.2050 0.6315 -3.0454
H 2.0679 -0.4223 -1.9671
O 3.1496 -2.1057 -1.3003
H 2.5517 -2.4120 -0.6183
H 3.8118 -1.5999 -0.8293
O 1.9064 -2.7033 1.3007
H 2.5013 -3.1411 1.9095
H 1.0346 -2.8563 1.6652
O -2.3299 -2.5925 -0.3052
H -1.7325 -2.7274 -1.0408
H -1.9331 -3.0774 0.4183
O -3.7158 -0.2596 0.8801
H -3.2055 -0.7425 0.2299
H -4.0760 0.4847 0.3979
O 0.8947 2.1412 1.8577
H 0.9141 2.7734 2.5762
H 0.0864 1.6472 1.9944
O 1.3452 2.5759 -1.0640
H 1.5655 1.6803 -1.3202
H 1.9072 3.1265 -1.6091
O -1.3468 -1.3756 3.7431
H -1.4420 -0.5500 3.2682
H -0.4039 -1.4655 3.8814
O -1.4620 0.5981 -4.2763
H -2.1174 -0.0738 -4.0887
H -0.6609 0.2734 -3.8650
O -1.3440 2.9107 -2.5346
H -0.6182 2.7246 -1.9389
H -1.3319 2.1870 -3.1610
O 2.6745 0.1678 1.5005
H 2.0835 -0.5705 1.6485
H 2.1608 0.9386 1.7419
O -1.7540 1.1160 2.2935
H -2.4756 0.6766 1.8437
H -2.0868 1.9937 2.4809
*
```

---

Q.
# H24NeO12

A structure of composition H24NeO12 (ωB97M-V/def2-TZVPD, OMol25).

Summary:
* molar mass: 236.36 g mol⁻¹
* HOMO: -10.5 eV
* LUMO level: 0.09 eV
* orbital gap: 10.603 eV

```
! RIJCOSX wB97M-V def2-TZVPD def2/J DEFGRID3
* xyz 0 1
Ne 0.1647 0.0226 0.2408
O 0.4298 0.3814 -2.5551
H 0.1149 0.6544 -1.6934
H -0.3663 0.2184 -3.0610
O 2.1941 -1.7815 1.2464
H 2.9363 -1.7514 0.6426
H 1.4765 -2.1438 0.7267
O 1.6827 0.0029 3.4224
H 1.7296 -0.4309 2.5704
H 2.2108 0.7943 3.3181
O 2.8702 2.4076 0.2533
H 3.7133 2.8608 0.2633
H 2.9533 1.7617 -0.4483
O 3.2006 0.5517 -1.8504
H 3.4687 1.0193 -2.6414
H 2.2515 0.4611 -1.9352
O 0.2065 3.2893 0.2205
H 1.0837 2.9386 0.3746
H -0.2135 3.2718 1.0804
O 0.6577 -3.2143 -1.1305
H 0.1283 -3.7514 -1.7200
H 0.1873 -2.3824 -1.0763
O -2.1175 -2.3960 -1.6019
H -2.4456 -3.2931 -1.6643
└──

